Set down the calculation results further below exactly.

'''
(1)
Below is an optimized crystal structure of NdAl6Cu4, with properties calculated at the GGA-PBE level.

The value obtained for the energy of formation from the pure elements is -0.33 eV per atom. The total energy comes out at -4.30 eV/atom.

It has space group P-6m2 (No. 187), with a = 7.0890 Å, b = 7.0890 Å, c = 4.0358 Å, α = 90.00°, β = 90.00° and γ = 120.00°. The inequivalent atoms are Nd at (0.0000, 0.0000, 0.0000), Al at (0.2015, 0.4030, 0.5000), Al at (0.5342, 0.0684, 0.0000), Cu at (0.3333, 0.6667, 0.0000) and Cu at (0.4166, 0.2083, 0.5000).



(2)
Below is an optimized crystal structure of Mg2AgMo, with properties calculated at the GGA-PBE level.

The energy above the lowest structure with this stoichiometry is 216 meV per atom. The value obtained for the energy of formation from the pure elements is 0.33 eV per atom. The total energy comes out at -3.89 eV/atom.

It has space group Imm2 (No. 44), with a = 2.8732 Å, b = 4.9311 Å, c = 10.2472 Å, α = 90.00°, β = 90.00° and γ = 90.00°. The inequivalent atoms are Mg at (0.0000, 0.0000, 0.0000), Mg at (0.0000, 0.5000, 0.2293), Ag at (0.0000, 0.0000, 0.4933) and Mo at (0.0000, 0.5000, 0.7506).



(3)
Below is an optimized crystal structure of NpMn5P3, with properties calculated at the GGA-PBE level.

The value obtained for the energy of formation from the pure elements is -0.51 eV per atom. The total energy comes out at -8.84 eV/atom.

It has space group Cmcm (No. 63), with a = 3.7470 Å, b = 11.9330 Å, c = 10.7511 Å, α = 90.00°, β = 90.00° and γ = 90.00°. The inequivalent atoms are Np at (0.0000, 0.1813, 0.2500), Mn at (0.0000, 0.0000, 0.0000), Mn at (0.0000, 0.1911, 0.5582), Mn at (0.0000, 0.4530, 0.1443), P at (0.0000, 0.1098, 0.7500) and P at (0.0000, 0.3750, 0.5541).



(4)
Below is an optimized crystal structure of CoTc2Os, with properties calculated at the GGA-PBE level.

The energy above the lowest structure with this stoichiometry is 429 meV per atom. The value obtained for the energy of formation from the pure elements is 0.39 eV per atom. The total energy comes out at -9.38 eV/atom.

It has space group Cmm2 (No. 35), with a = 2.8279 Å, b = 4.4755 Å, c = 8.8738 Å, α = 90.00°, β = 90.00° and γ = 90.00°. The inequivalent atoms are Co at (0.0000, 0.0000, 0.0000), Tc at (0.0000, 0.0000, 0.5023), Tc at (0.0000, 0.5000, 0.7575) and Os at (0.0000, 0.5000, 0.2434).
'''

(1)
Below is an optimized crystal structure of NdAl6Cu4, with properties calculated at the GGA-PBE level.

The value obtained for the energy of formation from the pure elements is -0.33 eV per atom. The total energy comes out at -4.30 eV/atom.

It has space group P-6m2 (No. 187), with a = 7.0890 Å, b = 7.0890 Å, c = 4.0358 Å, α = 90.00°, β = 90.00° and γ = 120.00°. The inequivalent atoms are Nd at (0.0000, 0.0000, 0.0000), Al at (0.2015, 0.4030, 0.5000), Al at (0.5342, 0.0684, 0.0000), Cu at (0.3333, 0.6667, 0.0000) and Cu at (0.4166, 0.2083, 0.5000).



(2)
Below is an optimized crystal structure of Mg2AgMo, with properties calculated at the GGA-PBE level.

The energy above the lowest structure with this stoichiometry is 216 meV per atom. The value obtained for the energy of formation from the pure elements is 0.33 eV per atom. The total energy comes out at -3.89 eV/atom.

It has space group Imm2 (No. 44), with a = 2.8732 Å, b = 4.9311 Å, c = 10.2472 Å, α = 90.00°, β = 90.00° and γ = 90.00°. The inequivalent atoms are Mg at (0.0000, 0.0000, 0.0000), Mg at (0.0000, 0.5000, 0.2293), Ag at (0.0000, 0.0000, 0.4933) and Mo at (0.0000, 0.5000, 0.7506).



(3)
Below is an optimized crystal structure of NpMn5P3, with properties calculated at the GGA-PBE level.

The value obtained for the energy of formation from the pure elements is -0.51 eV per atom. The total energy comes out at -8.84 eV/atom.

It has space group Cmcm (No. 63), with a = 3.7470 Å, b = 11.9330 Å, c = 10.7511 Å, α = 90.00°, β = 90.00° and γ = 90.00°. The inequivalent atoms are Np at (0.0000, 0.1813, 0.2500), Mn at (0.0000, 0.0000, 0.0000), Mn at (0.0000, 0.1911, 0.5582), Mn at (0.0000, 0.4530, 0.1443), P at (0.0000, 0.1098, 0.7500) and P at (0.0000, 0.3750, 0.5541).



(4)
Below is an optimized crystal structure of CoTc2Os, with properties calculated at the GGA-PBE level.

The energy above the lowest structure with this stoichiometry is 429 meV per atom. The value obtained for the energy of formation from the pure elements is 0.39 eV per atom. The total energy comes out at -9.38 eV/atom.

It has space group Cmm2 (No. 35), with a = 2.8279 Å, b = 4.4755 Å, c = 8.8738 Å, α = 90.00°, β = 90.00° and γ = 90.00°. The inequivalent atoms are Co at (0.0000, 0.0000, 0.0000), Tc at (0.0000, 0.0000, 0.5023), Tc at (0.0000, 0.5000, 0.7575) and Os at (0.0000, 0.5000, 0.2434).